
0030-2285 0030-2291
0030-2285 Task
is not in DEBUG state. It is excluded from the export.
Explanation: A task must be in DEBUG state to be able to participate in an export.
User Response: If the user does not care that the task was excluded from the multi array
export, the message can be ignored. If the user wants the array from the task to be included
in the export, the user must put the task in DEBUG state prior to exporting.
0030-2286 Array
on task
has a different number of dimensions. It is
excluded from the export.
Explanation: The array with a matching array name on the specified task does not meet
the match criteria and is excluded from the export.
== Data records from another source follow ==
'''
Record 1
The following is a PBE calculation of Ac2InGeRh6 after structural relaxation, from the Alexandria database.

Summary:
Total DFT energy (no corrections), eV per atom: -6.16
Calculated formation energy, kJ/mol of formula units: -183.5

a = 11.7236 Å, b = 6.7792 Å, c = 6.7663 Å
α = 90.00°, β = 125.23°, γ = 90.00°
Space group C2/m (No. 12)
Symmetry-distinct sites (fractional):
Ac  0.2500  0.0000  0.2499 [4 per cell]
In  0.0000  0.0000  0.5000 [2 per cell]
Ge  0.0000  0.5000  0.0000 [2 per cell]
Rh  0.0000  0.2609  0.2392 [8 per cell]
Rh  0.2392  0.5000  0.2391 [4 per cell]

=====

Record 2
The following is a PBE calculation of NdHo6Se8 after structural relaxation, from the Alexandria database.

Summary:
Total DFT energy (no corrections), eV per atom: -5.48
Relative energy among the computed polymorphs, kJ/mol of formula units: 488
E_form (uncorrected), eV/atom: -1.4730

a = 11.0303 Å, b = 11.0303 Å, c = 12.7686 Å
α = 90.00°, β = 90.00°, γ = 120.00°
Space group R-3 (No. 148, hexagonal axes)
Symmetry-distinct sites (fractional):
Nd  0.0000  0.0000  0.0000 [3 per cell]
Ho  0.0165  0.8210  0.3859 [18 per cell]
Se  0.0000  0.0000  0.2341 [6 per cell]
Se  0.0118  0.6195  0.2543 [18 per cell]

=====

Record 3
The following is a PBE calculation of Rb2HfScF6 after structural relaxation, from the Alexandria database.

Summary:
Total DFT energy (no corrections), eV per atom: -5.69
E_form (uncorrected), eV/atom: -2.7415

a = 6.2541 Å, b = 6.2541 Å, c = 8.7804 Å
α = 90.00°, β = 90.00°, γ = 90.00°
Space group I4/mmm (No. 139)
Symmetry-distinct sites (fractional):
Rb  0.0000  0.5000  0.2500 [4 per cell]
Hf  0.0000  0.0000  0.0000 [2 per cell]
Sc  0.0000  0.0000  0.5000 [2 per cell]
F  0.0000  0.0000  0.2473 [4 per cell]
F  0.2466  0.2466  0.5000 [8 per cell]

=====

Record 4
The following is a PBE calculation of Nd4HoCd2 after structural relaxation, from the Alexandria database.

Summary:
Total DFT energy (no corrections), eV per atom: -3.54
Calculated formation energy, kJ/mol of formula units: 65.3

a = 5.6173 Å, b = 5.6173 Å, c = 26.4302 Å
α = 90.00°, β = 90.00°, γ = 120.00°
Space group R-3m (No. 166, hexagonal axes)
Symmetry-distinct sites (fractional):
Nd  0.0000  0.0000  0.1299 [6 per cell]
Nd  0.0000  0.0000  0.2644 [6 per cell]
Ho  0.0000  0.0000  0.5000 [3 per cell]
Cd  0.0000  0.0000  0.3848 [6 per cell]

=====

Record 5
The following is a PBE calculation of Ca2In9Pt3 after structural relaxation, from the Alexandria database.

Summary:
Total DFT energy (no corrections), eV per atom: -3.81
Calculated formation energy, kJ/mol of formula units: -630.7

a = 14.4284 Å, b = 8.3155 Å, c = 11.4960 Å
α = 90.00°, β = 114.89°, γ = 90.00°
Space group C2/c (No. 15)
Symmetry-distinct sites (fractional):
Ca  0.1678  0.0842  0.2502 [8 per cell]
In  0.0000  0.3660  0.2500 [4 per cell]
In  0.0572  0.0724  0.9209 [8 per cell]
In  0.1090  0.3096  0.7492 [8 per cell]
In  0.1103  0.4120  0.0664 [8 per cell]
In  0.2289  0.4106  0.4198 [8 per cell]
'''
== The text goes on ==
User Response: The user must be aware of the match criteria when trying to allow multiple
matching arrays to exported at the same time. For more information, see the IBM Parallel
Environment for AIX: Operation and Use manual.
0030-2287 Array
on task
has a different minimum range. It is excluded
from the export.
Explanation: The array with a matching array name on the specified task does not meet
the match criteria and is excluded from the export.
User Response: The user must be aware of the match criteria when trying to allow multiple
matching arrays to exported at the same time. For more information, see the IBM Parallel
Environment for AIX: Operation and Use manual.
0030-2288 Array
on task
has matched. It is included in the export.
Explanation: This informational message indicates that this particular array has met the
match criteria and will be included in the export.
User Response: Continue normal pedb operations because this message indicates
successful processing.
0030-2289 No matching array found on task
Explanation: No arrays that meet any of the matching criteria have been found on this
User Response: The user must be aware of the match criteria when trying to allow multiple
matching arrays to exported at the same time.
0030-2290 Could not run the executable for task
Explanation: The application for the given task encountered a signal when an attempt was
made to run it.
User Response: This depends on the signal that was encountered, which was given by a
previous message. If it was signal 9 there is a good chance that the executable was
compiled under an old release and needs to be recompiled.
0030-2291 You cannot Export at this time because task:
is running.
Explanation: A task must be in debug state to be able to participate in an export. You have
issued a command that put the task in a running state after the export window for the array
was opened.
User Response: To export using this window you must allow the task to continue until a
/*
(1)
# Gd3HAu | Alexandria | PBE | relaxed
# - Uncorrected energy: -10.1559 eV per atom
# - Crystal system: cubic
data_Gd3HAu
_chemical_formula_sum 'Gd3 H1 Au1'
_cell_length_a 4.7989
_cell_length_b 4.7989
_cell_length_c 4.7989
_cell_angle_alpha 90.00
_cell_angle_beta 90.00
_cell_angle_gamma 90.00
_space_group_name_H-M_alt 'P m -3 m'
_space_group_IT_number 221
_space_group_name_Hall '-P 4 2 3'
loop_
_atom_site_label
_atom_site_fract_x
_atom_site_fract_y
_atom_site_fract_z
Gd1 0.0000 0.0000 0.5000
H1 0.0000 0.0000 0.0000
Au1 0.5000 0.5000 0.5000

(2)
# Sm3ThRu4 | Alexandria | PBE | relaxed
# - Uncorrected energy: -7.6010 eV per atom
# - Crystal system: tetragonal
data_Sm3ThRu4
_chemical_formula_sum 'Sm6 Th2 Ru8'
_cell_length_a 4.9442
_cell_length_b 4.9442
_cell_length_c 13.9284
_cell_angle_alpha 90.00
_cell_angle_beta 90.00
_cell_angle_gamma 90.00
_space_group_name_H-M_alt 'I 4/m m m'
_space_group_IT_number 139
_space_group_name_Hall '-I 4 2'
loop_
_atom_site_label
*/
debug state has been reached. This can be done by waiting for a running task to return, or if
it is blocked, by stepping other tasks or pressing the halt button.
42 IBM PE for AIX V2R4.0: Messages